WorkshopsThe Perfumer's Wizard

Quick Guide & Tips

The Perfumer's Wizard is an ALL DEVICE formula generating app-like tool that uses the favorite functions of The Perfumer's Workbook but runs on all your devices without installation. Notebook, Mobile phone, iPhone, iPad, Tablet etc. and any operating system that runs a browser including Mac, Windows, Android Box, Linux, and some TVs too.
Free to use or to access Premium Options Order Here


Intro Video Guide (Step 1)


Image Mind Map


Will my perfume meet my expectations the first time?

Typically the perfume will be about 90% there. It will have all the descriptors you selected but most clients will want something adjusted. Like getting a suit or dress custom made it needs a fitting or two to adjust it. That is why we recommend opting for the Perfumer's Modification when ordering. Realistically, although it is often perfect the first time, prepare to adjust it yourself or have it adjusted via a Perfumer's Modification 3 to 5 times.


The ABCs of Perfumery Graph

i. Type in a memorable name for your perfume
ii. Then adjust the ABCs up or down

Tip especially check out these groups that can quickly OVERPOWER a fragrance:
A- Aldehyde Fatty soapy
E- Edible vegetable nut
F- Fruity smells
G- Green
P- Phenol medicinal
T- Tar n Smoke burnt
These are fine when that's what we intend but more than 1% can quickly take over a light or floral perfume.

What are The ABCs of Perfumery? - (Opens in another Tab.)


How simple or complex do you want your perfume to be?
Keep it Simple - The Wizard will try to keep the materials to about 10
Medium - will use about 25 materials, a typical short formula for fine perfumery.
Custom* - is a Premium feature and you can choose 5-50 materials
5 = makes a Simple Accord
6-15 = a Light Perfume
15-25 = a Modern Style Perfume
25-35 = a Classic Style Perfume
35-50 = a Heavier Perfume

**Between two parts of the text: materials data:**
┌──
Record 1
Structure and calculated X-ray powder pattern of BaHg11 (a GGA-PBE-relaxed structure; CuKα).
Lines closer than 0.1° are merged.

Most intense lines, 10° ≤ 2θ ≤ 90°, sorted by position:
- 3.200 Å, I 260
- 3.051 Å, I 536
- 2.921 Å, I 564
- 2.806 Å, I 318
- 2.454 Å, I 1000
- 2.385 Å, I 646
- 2.208 Å, I 400
- 1.789 Å, I 175
- 1.580 Å, I 351
- 1.377 Å, I 330

Structure:
Unit cell a=10.118 b=10.118 c=10.118 alpha=90.00 beta=90.00 gamma=90.00
Fractional coordinates of all 36 atoms:
Ba (0.000, 0.000, 0.500)
Ba (0.000, 0.500, 0.000)
Ba (0.500, 0.000, 0.000)
Hg (0.000, 0.344, 0.344)
Hg (0.000, 0.344, 0.656)
Hg (0.000, 0.656, 0.344)
Hg (0.000, 0.656, 0.656)
Hg (0.153, 0.153, 0.153)
Hg (0.153, 0.153, 0.847)
Hg (0.153, 0.847, 0.153)
Hg (0.153, 0.847, 0.847)
Hg (0.266, 0.266, 0.500)
Hg (0.266, 0.500, 0.266)
Hg (0.266, 0.500, 0.734)
Hg (0.266, 0.734, 0.500)
Hg (0.344, 0.000, 0.344)
Hg (0.344, 0.000, 0.656)
Hg (0.344, 0.344, 0.000)
Hg (0.344, 0.656, 0.000)
Hg (0.500, 0.266, 0.266)
Hg (0.500, 0.266, 0.734)
Hg (0.500, 0.500, 0.500)
Hg (0.500, 0.734, 0.266)
Hg (0.500, 0.734, 0.734)
Hg (0.656, 0.000, 0.344)
Hg (0.656, 0.000, 0.656)
Hg (0.656, 0.344, 0.000)
Hg (0.656, 0.656, 0.000)
Hg (0.734, 0.266, 0.500)
Hg (0.734, 0.500, 0.266)
Hg (0.734, 0.500, 0.734)
Hg (0.734, 0.734, 0.500)
Hg (0.847, 0.153, 0.153)
Hg (0.847, 0.153, 0.847)
Hg (0.847, 0.847, 0.153)
Hg (0.847, 0.847, 0.847)

=====

Record 2
Structure and calculated X-ray powder pattern of Ba6Hg5 (a GGA-PBE-relaxed structure; CuKα).
Lines closer than 0.1° are merged.

Most intense lines, 10° ≤ 2θ ≤ 90°, sorted by position:
- 2.983 Å, I 203
- 2.967 Å, I 1000
- 2.104 Å, I 152
- 2.093 Å, I 75
- 1.719 Å, I 163
- 1.713 Å, I 241
- 1.710 Å, I 80
- 1.483 Å, I 126
- 1.329 Å, I 106
- 1.121 Å, I 129

Structure:
Unit cell a=10.277 b=10.277 c=10.277 alpha=146.25 beta=131.93 gamma=60.02
Fractional coordinates of all 11 atoms:
Ba (0.080, 0.332, 0.747)
Ba (0.245, 0.000, 0.245)
Ba (0.415, 0.668, 0.747)
Ba (0.585, 0.332, 0.253)
Ba (0.755, 0.000, 0.755)
Ba (0.920, 0.668, 0.253)
Hg (0.000, 0.500, 0.500)
Hg (0.166, 0.166, 0.000)
Hg (0.333, 0.833, 0.500)
Hg (0.667, 0.167, 0.500)
Hg (0.834, 0.834, 0.000)

=====

Record 3
Structure and calculated X-ray powder pattern of Ba5Hg6 (a GGA-PBE-relaxed structure; CuKα).
Lines closer than 0.1° are merged.

Most intense lines, 10° ≤ 2θ ≤ 90°, sorted by position:
- 4.128 Å, I 107
- 2.977 Å, I 1000
- 2.919 Å, I 489
- 2.467 Å, I 74
- 2.149 Å, I 87
- 2.064 Å, I 173
- 1.731 Å, I 167
- 1.696 Å, I 349
- 1.489 Å, I 95
- 1.106 Å, I 77

Structure:
Unit cell a=10.180 b=10.180 c=10.180 alpha=146.67 beta=130.06 gamma=61.38
Fractional coordinates of all 11 atoms:
Ba (0.000, 0.000, 0.000)
Ba (0.174, 0.674, 0.500)
Ba (0.355, 0.355, 0.000)
Ba (0.645, 0.645, 0.000)
Ba (0.826, 0.326, 0.500)
Hg (0.060, 0.827, 0.233)
Hg (0.216, 0.500, 0.716)
Hg (0.406, 0.173, 0.233)
Hg (0.594, 0.827, 0.767)
Hg (0.784, 0.500, 0.284)
Hg (0.940, 0.173, 0.767)

=====

Record 4
└──
**End of the materials data:**

Note: Generally those with less experience with perfume enjoy simple to understand perfumes and those with more experience enjoy increasing complexity. Rather like White vs. Red Wine, Pop Group vs. Classical Orchestra, Cartoon vs. Complex Drama etc.


Select the materials to use
The Perfumery Training Kit - 26 F-TEC Bases
The Perfumery Training Kit - 26 Fleuressence Bases
The F-TEC Custom Creation Kit - 164 F-TEC Bases
The Custom Creation Kit - 164 Fleuressence Bases
All PW Materials -100+ raw materials avaialble from PerfumersWorld site
Only natural materials - Essential Oils, Absolutes, Resinoids


Write your own description or select a formatted description from the drop down
The 50+ formats in the Free version cover all major perfume families and styles. You can scroll through them or use the BROWSE box to find the major notes or themes like Fougere, Chypre, Oriental, Aldehydic, Relax, Energize, Apple, Strawberry, Spice, Rose, Orchid etc.
After a description loads you can:
1. Remove or Add descriptors
2. Change the order of descriptors (the first are assumed to be more dominant in the smell than the ones that follow).
3. Repeat a descriptor ex. Sweet Sweet or Jasmine Jasmine Jasmine to accentuate it.

In the Premium Versions there are thousands of Formats, and the Professional Version has almost 100,000 Formatted descriptions including most branded perfumes. Important: these Formats are not formulas they just use the descriptors from known perfumes and are used to generate original perfumes inspired by that description.
The Perfumer's Wizard will only create infinite original perfumes it will never copy other perfumes..
Simply Adding, Removing, Swapping the order or Repeating descriptors gives infinite variation on each Formula generated.
To access these BROWSE perfume by name, brand, notes or accords and select from the dropdown.


Why do some searches give empty results?

1. In the FREE version there are 50+ perfume formats that cover almost every style or family of perfumes. So try shorter words, family groups, basic florals eg.
Floral, White Floral, Jasmin Rose, Muguet(Lily of the Valley) etc.
Aldehydic, like Chanel No.5, Lux Soap, Rive Gauche
Cologne - Citrus, 4711, Imperial cologne, Eau Sauvage etc.
Fougere -Fern, Forest notes, Herb, Alliage, Fougere Royale
Tobacco - a masculine version of the Fougere - Tabac - Golden Virginia, Old Holborn
Chypre - Oakmoss, Citrus, Lavender, Animal notes.
Oriental Balsams and resins, usually edible sweet rich sensual Shalimar, Must de Cartier, Obsession
Fruits - Apple Strawberry Pineapple
Aromatherapy - Relaxing Warming Cooling Sensual

2. In the Premium and Pro versions this rarely happens as there are thousands of descriptions, but if it does try shorter words, check spelling and spaces, avoid non standard English letters.


Instead of entering a written description you can use an image to generate a formulation, this will help get the feeeel..the smell   synaesthesia effect or the mood that you want in your perfume.

Can I load my own pictures?

Yes, you can use an image from our gallery or upload your own

1. Click the Get Image button and then below the picture gallery there is a Find My Images button that allows you to open an image on your device.

2. Click Select Focus and pick the closest theme from the dropdown. This is so if you have a picture of strawberries it won't mistake the red for blood, spices, a London bus or fire etc.

3. Click Draw Mind Map.

Review the materials chosen - if the subject has a black background or other unwanted color swatch you can hide/remove that color tile by toggling the tick button on or off.

Click the 1st choice material to show alternatives. In the Premium and Pro versions you can choose any other material from our compendium by clicking more..


Does your sample or formula seem expensive?
Here are some guidelines to improve the cost and prepare your formula for consistent production.
Keeping your formula to 25 materials or less keeps the production cost down. Formulas over 50-100 materials might be better to split into 2, 3 or 4 parts and reassemble as "Keys" see below.
Check the price of each material. Especially note materials that are over $1.00/gram and consider part replacing them with more cost effective substitutes eg. F-TECs or Bases.
Aim for formulas with totals near 100 or 1,000. Avoid totals of several Kgs unless that is the quantity you are actually ordering.
Avoid long decimal quantities. They take longer to weigh so there is a surcharge for samples that require 2 and especially 3 or 4 decimal places for the sample ordered.


Prices are based on US$/gram
The Wizard does not limit how much of any material you can add so the formula can become very expensive. If this happens remember the price is always under your control. Choose the button to open the formula to make direct changes.

Tip 1. try replacing expensive oils with Fleuressences or cheaper materials in the same ABC group or use expensive materials as 10% solutions

Tip 2. If ordering your first sample and you find its got too expensive then here's a quick money saving tip during the creation stage:
Add a solvent like DPG or TEC to 2x, 4x etc. of the other materials total.
If your current total is 100 then add 400 of DPG or TEC and submit the formula like this. After ordering samples and you have found the right combination you can take the solvent out in subsequent orders. That way you will save 80% of your cost in the R&D process!


Name Your Perfume
You can create any name you like but here are some tips for choosing a good name:
4-18 characters (so it fits on a label)
Memorable & Catchy
Avoid non-standard characters, accents
Use your imagination
blend smells, colours, taste, touch, feelings, emotions, pictures, desires, wishes, memories, new words, humour, fun.
"feeeel.. the smell"


Bulk Prices
* 5Kg up and 25Kgs up are guidelines and subject to confirmation against a specific order and shipping requirements


Who makes up samples and batches of formulas I submit?
Your formulas are made by an experienced team of lab and production staff
A 10-100g 25 material sample takes our staff 30 mins to compound using a digital QR coded and guided system of Sartorius(G) and Vibra(J) electronic balances that record every batch, every material (yes even in 10g samples). The system actually beats current robotic mixers available in terms of the palette of materials to equal accuracy and at a fraction of the operating cost. Our staff are paid monthly salaries and get a bonus for each material weighed correctly, which keeps them alert and in the game in a positive and fun way. Each week they join in an engaging knowledge and smelling test meeting to ensure they are up to date. The lab and production departments are supported by a team Perfumers, Chemists and Trainers with over 100 years perfumery experience between them. Average employee perfumery industry experience in PerfumersWorld in 2024 is 9.2 years.


What are *Key RM/Bases 001, 002, 003 etc.
A single material or mixture not yet in the DB and used as a part of a formula.
It could represent a separate Accord, Base, Sub-compound or Formula with its own Formula Name & Code or a material not found in the DB or a specific dilution.
** Please Note: A proper cost calculation cannot be confirmed until the cost of ALL the Keys present are confirmed.

Examples where you might find using these helpful:
Adding a material that you can't find in our DB eg. Ambrocenide
e.g. Select one of the unused Key RM/Base. Type: "Ambrocenide or similar" then the quantity.

Adding a dilution not found eg. Guaiacol 0.01% in TEC
e.g. Select one of the unused Key RM/Base. Type: "Guaiacol 0.01% in TEC" then the quantity.

Making your perfume in blocks for long formulas or functional blocks e.g.
1 Formula for the Heart Materials eg. Rose Heart ABC24101
1 Formula for the Modifiers eg. Rose Modifiers ABC24102
1 Formula for the Blenders eg. Rose Blenders ABC24103
1 Formula for the Fixatives eg. Rose Fixatives ABC24104

Then combining in a 5th Formula for the complete Formula.

The complete formula could look something like this;
Name: Rose Complete Code: ABC24105
Key RM/Base01 = "Rose Heart ABC24101" eg. quantity 45.00
Key RM/Base02 = "Rose Modifiers ABC24102" eg. quantity 5.00
Key RM/Base03 = "Rose Blenders ABC24103" eg. quantity 25.00
Key RM/Base04 = "Rose Fixatives ABC24104" eg. quantity 25.00
TIP: This is a quick way to try variations especially if you get or order all the bases to optimize the ratios.

Note: This method will be treated as 4+1 samples if ordering, but it is a powerful tool to balance your formula quickly.


Bulletproof your formula
Some quick tips to help make your formula well formed i.e. production ready.
* Enter the formula as you actually made it without rounding off to avoid long impossible to weigh fractions. Its OK if the total is 11.70 grams, 64 drops or 1,121 grams.
* We will make any length of formula but if you keep it to 20 materials the production cost is optimized. If it has more than 20 the cost of compounding increases in small increments for each material.
* Its good practice to keep formulas to totals that can be simply calculated to 10.00, 100.0 or 1,000. But only if it doesn't produce impossible to weigh fractions.
* Keep the materials in a 10 gram formula to 2 decimals,
1 place in 100g
or whole numbers in 454g (1lb ), 500g (half-Kg), 1,000g (1Kg).
* To add tiny amounts of a material to a formula use solutions eg. 1%, 10% (see below for recommended solvents).
It is a generally good practice to have 5-30% or so of your preferred solvent in a compound to ensure it stays a mobile liquid. Creatively, it can also be beneficial by allow the perfume to have "space to breathe" to release all the facets of the odour by making it less 'dense', but only testing will confirm this for each unique compound. 30-50% of DPG for example can also help stabilize a perfume for powdered products by increasing viscosity and slowing down oxidation.
* If we haven't listed the dilution you want us to use then calculate and add the pure material and the amount of solvent separately, e.g if you want to use 1.00 of Sulfurol 0.01% in TEC. Then add Sulfurol (100%) 0.0001 and TEC 0.9999. Note in the remarks something like "Use 1.00 of Sulfurol 0.01% in TEC".
* At PW we can weigh materials to 3 or 4 decimal places but there is a small surcharge for each one if we have to. Please use dilutions to avoid this.
* Tip: If weighing formulas yourself - Never rely on the last digit on a scale! If you weigh 0.01 on a 2 decimal place scale then the range where it switches from 0.00 to 0.01 could be 0.005 to 0.015 a +/- 50% error on your target weight but you can't see the 3rd place on a 2 place scale!.


Why choose a Perfumer's Modification?

We highly recommend if you are new to The Perfumer's Wizard, new to perfumery or do not know all the materials listed in the formula that you select this option. It is an economical and quick way to get a professional human perfumer to check the formula and try to adjust it towards your stated, odour, style or cost objectives.
Typically your perfume will already be about 90% there. It will usually have all the descriptors you selected, but most clients will want something adjusted. Like getting a suit or dress custom made it needs a fitting or 2 to get the best fit.
Realistically prepare to have it adjusted via a Perfumer's Modification 3-5 times. You can include any factors in your objective, "I want it fresher, long lasting, sensual, relaxing, like Tom Ford etc." You can even ask for it to be made cheaper but please be realistic in your expectation, especially if all naturals are required.
When using the Perfumer's Modification the sample cost is calculated as the same cost as the original formula and on completion the sample is shipped together with the original sample and its formula uploaded to your account. To view the formula select the "OPEN A FORMULA" option when you first enter The Perfumer's Wizard.
Note: A Perfumer's Modification can ONLY be requested at the same time of submitting a Formula. If ordered later it is $100 + the cost of the sample due to the additional preparation and administration costs.


Which Solvent to use?
Choose solvents based on the materials in the compound and end product compatibility.

* Triethyl Citrate (TEC)
Versatile, Food Grade, Stable, Inert.
Ok for Massage Oil & Oily products, Candles
* DPG (Dipropylene Glycol)
Versatile, Stabilizes, Blends Odour, Not for Massage Oils, Slows Saponification in Soap making.
* IPM (iso-Propyl Myristate)
Cosmetic grade, Candles, Massage Oils
Poor solubility for powders, resins, gums, terpenes, unless part of a compound.

* BB (Benzyl Benzoate)
Dissolve Resinoids & oily RMs Used in Candles but smoky. (Has its own heavy narcotic odour)
* BA (Benzyl Alcohol)
Dissolve Resinoids, Powders & oily RMs Used in Candles but smoky. (Has a mild nutty oil odour)
* MMB (3-Methyl-3-Methoxy Butanol)
Used in diffuser bases but still experimental for compounds.
* Augeo Clean Multi (Isopropylidene glycerol)
Used in diffuser bases but still experimental for compounds.
* Coconut or Palm Fractionated Oils (Natural MCT Oils)
Cosmetic grade, Massage Oils, Good Stability. NOT ALCOHOL SOLUBLE.
Poor solubility for powders, resins, gums, terpenes, unless in a compound.
* White Mineral Oil
Cosmetic grade, Massage Oils, Excellent Stability. NOT ALCOHOL SOLUBLE.
Poor solubility for powders, resins, gums, terpenes, unless in a compound.

* Alcohol (Ethanol/Ethyl Alcohol)
Reactivity, evaporation, flammable, taxable
* Fixed Plant Oils (Olive, Almond, Coconut etc)
Poor Solubility Poor Stability, Peroxide formation
* PG (Propylene Glycol)
Water soluble, Used mainly in flavours, occasionally used in perfumery but has solubility issues with terpenes, resins and oily materials.
* DEP (Diethyl Phthalate)
Very efficient solvent but toxic & irritates skin.


Powders, Crystals, Solids and Resins
* As a general guide you can only usually get up to about 10% of powdered materials in a Perfume compound without it quickly falling out of solution. Some even less like Maltol
* Particularly difficult powders are Musk Ketone, Ambroxan, Evernyl and these are not even very alcohol soluble unless well dissolved in other perfumery materials first.
* Resinoids and some Absolutes like Vanilla and Cocoa do not like a high content of terpenes and will fall out of solution.
* Perfumers try to push this to its limits and Baccarat Rouge with a 30% + combination of Evernyl, Cetalox/Ambrox and Ethyl Maltol must have taken a lot of experimentation and is an exception.
* Other mixes that break the rule:
   Mix Equal amounts of Menthol Crystals + Camphor Powder + Borneol Flakes and stir for a few minutes (no solvents required).
   Heliotropin Crystals 70% in BA (Benzyl Alcohol).
* So it is possible and if you try in a formula you submit and order, our compounders will make it, but if you've exceeded the 10% guideline expect to have to make a few trials to get it to stay in liquid form.
Tip: If you've ordered the optional Perfumer's Modification we will quickly try to solve it but it's not guaranteed but should help lessen the number of trials you have to do to get it to work.


Colour changing materials
Its only in the last 20 years or so that consumers really began to demand their products colourless and transparent especially for cosmetics. Colourless or white before then was often equated with dilute or lack of substance. So here is a quick list of "the usual suspects" responsible for colour changes to watch for (if you care!).
* Indol is the No.1 colour change culprit. Closely followed by Indolene & Skatole. Red to Dark Brown.
   Found naturally and in bases of Jasmine, Muguet, Tuberose, Neroli, all White Florals, Chypres etc.
* Citral (in Lemon, Lemongrass, Litsea Cubeba). Turns Brown particularly in Soaps and toiletries.
WARNING: Citral with free Methyl Anthranilate in the formula can turn BLACK over time.
* Methyl Anthranilate forms intense bright yellow Schiff's bases with Aldehydes (eg. Hydroxycitronellal) but BLACK with Citral. Pre making a Schiff's base MA+ the aldehyde (eg. Aurantiol) can help control the colour change.
* Vanillin, Ethyl Vanillin will go brown in Soaps, Candles. Present in most Sweet perfumes esp. Gourmandes, Amber.
* Helional will discolour brown. Found in light florals, transparent greens, Muguets etc. (low % is generally OK)
* Muguet, Jasmin and White Florals (natural & Bases) due to the presence of Indol or Indolene
* Hexyl or Amyl Cinnamic Aldehyde generally only in tropical climates, poor storage turns dark yellow-brown.
* Evernyl, Veramoss - don't let its white colour fool you in a soap it can turn bright purple
* Diacetyl - although used in traces can darken to a deep caramel-yellow.
* Musk Ketone - and other Nitro Musks will turn yellow to brown in compounds.

** Materials that discolour if exposed to metallic iron from drums or traces in end product from mixing tanks, equipment, stirrers, taps, etc.
   Salicylates, especially Benzyl Salicylate can take on pink tint.
   Phenols (para-Cresol), Clove, Cinnamon, Eugenol, Cinnamic Aldehyde can turn BLACK.
   Evernyl, Veramoss etc. can turn red-purple brown.
   Vanillin, Ethyl Vanillin, Maltol, Ethyl Maltol can turn yellow - brown.

* Materials already dark coloured by themselves and may darken further.
   Most smoky notes Birch Tar, Cade Oil.
   Castoreum, Civet.
   Labdanum, Ambrarome.
   Agarwood, Oud, Nagarmotha.
   Oakmoss, Treemoss, Seaweed.